Contents >
/*
Entry 1:
Entry from the OMol25 dataset: 7 unconnected molecules or ions with the total composition C27H72N4O3 at a distorted geometry (ωB97M-V/def2-TZVPD).

Its multiplicity is 2. The HOMO-LUMO gap (alpha / beta) is 7.7 / 3.1 eV. The calculated total energy is -41257.64209 eV. As for the expectation value of S²: 0.754. The net charge is +1.

Geometry (Å):
C (-6.2628, 1.7853, 0.8961)
C (-6.3826, 2.0032, -0.6482)
N (-5.2306, 1.2881, -1.2576)
C (-5.5137, 0.9883, -2.6295)
C (-6.6676, -0.0128, -2.8519)
C (-4.1034, 2.2512, -1.2098)
C (-2.7625, 1.4916, -1.3568)
H (-7.1539, 1.7945, 1.5237)
H (-5.5029, 2.4041, 1.3733)
H (-6.0220, 0.7522, 1.1468)
H (-7.3063, 1.4546, -0.8321)
H (-6.4833, 3.0629, -0.8831)
H (-5.6468, 1.8935, -3.2220)
H (-4.5879, 0.5226, -2.9673)
H (-7.6344, 0.4480, -2.6490)
H (-6.6679, -0.3686, -3.8822)
H (-6.5161, -0.8674, -2.1925)
H (-4.0516, 2.6183, -0.1847)
H (-4.1958, 3.0729, -1.9199)
H (-2.0913, 2.0990, -0.7495)
H (-2.5071, 1.4953, -2.4164)
H (-2.8300, 0.5299, -0.8482)
C (0.8397, -8.0886, 4.1524)
C (1.1355, -6.6512, 3.6817)
N (2.1071, -6.5100, 2.6365)
C (2.1401, -5.2599, 1.9189)
C (1.0647, -5.1010, 0.7897)
C (3.3987, -7.1281, 2.9055)
C (4.0122, -7.7216, 1.6810)
H (-0.0513, -8.0895, 4.7803)
H (1.6640, -8.4512, 4.7665)
H (0.7143, -8.7871, 3.3251)
H (0.2203, -6.1848, 3.3171)
H (1.4216, -6.1352, 4.5982)
H (2.0234, -4.4935, 2.6851)
H (3.1644, -5.1391, 1.5664)
H (1.1798, -4.1458, 0.2775)
H (1.4537, -5.7027, -0.0317)
H (0.0332, -5.2625, 1.1029)
H (3.3515, -8.0123, 3.5411)
H (4.1014, -6.4796, 3.4289)
H (3.6442, -8.6956, 1.3585)
H (5.0519, -7.9700, 1.8938)
H (4.0558, -7.0158, 0.8515)
C (-2.0538, 6.0666, 3.7144)
C (-1.7449, 5.4064, 2.3598)
N (-0.3240, 5.2010, 2.0992)
C (0.5294, 6.4159, 1.9360)
C (-0.1495, 7.5514, 1.1643)
C (0.1908, 4.1968, 3.0637)
C (1.6670, 3.7244, 2.7880)
H (-2.6124, 6.9622, 3.4427)
H (-1.2168, 6.4026, 4.3266)
H (-2.6377, 5.3626, 4.3073)
H (-2.3132, 4.4915, 2.1920)
H (-2.1342, 5.9887, 1.5247)
H (0.8508, 6.8776, 2.8696)
H (1.4711, 6.2650, 1.4081)
H (-1.0573, 7.9449, 1.6216)
H (0.5100, 8.4166, 1.0972)
H (-0.2816, 7.1926, 0.1435)
H (-0.5043, 3.3578, 3.0925)
H (0.0497, 4.6519, 4.0440)
H (1.8890, 3.3154, 1.8023)
H (1.9233, 2.9117, 3.4675)
H (2.3728, 4.5208, 3.0241)
C (1.5544, -1.8120, -3.5320)
C (0.8687, -1.2152, -2.2633)
N (1.8223, -0.5491, -1.3679)
C (0.9465, -0.0370, -0.2688)
C (1.7521, 0.6013, 0.9249)
C (2.6115, 0.5213, -1.9830)
C (1.7329, 1.5918, -2.5299)
H (1.9015, -0.9912, -4.1596)
H (0.8037, -2.3362, -4.1234)
H (2.3118, -2.5784, -3.3676)
H (-0.0198, -0.6491, -2.5430)
H (0.5835, -2.1013, -1.6963)
H (0.4588, -0.8949, 0.1942)
H (0.1944, 0.6844, -0.5883)
H (1.1482, 0.9578, 1.7593)
H (2.4093, 1.4094, 0.6037)
H (2.4303, -0.1527, 1.3245)
H (3.4183, 0.7749, -1.2954)
H (3.2597, 0.0186, -2.7008)
H (0.9478, 1.9862, -1.8848)
H (2.3523, 2.3450, -3.0170)
H (1.1886, 1.0859, -3.3273)
C (2.1371, -3.5068, -6.3178)
O (1.4163, -3.7694, -7.4781)
H (2.4814, -2.4747, -6.3836)
H (1.5733, -3.5383, -5.3855)
H (2.9879, -4.1403, -6.0670)
H (1.5349, -4.7116, -7.6189)
C (4.7446, -2.0174, 0.2544)
O (3.4528, -2.3752, 0.0487)
H (5.0174, -1.4665, 1.1545)
H (5.3991, -2.8843, 0.1647)
H (5.0033, -1.3361, -0.5562)
H (2.8917, -1.7500, -0.4159)
C (0.1994, 4.8311, -1.7612)
O (0.9570, 4.2426, -0.7339)
H (0.5356, 4.3311, -2.6695)
H (-0.8676, 4.6518, -1.6294)
H (0.4024, 5.9020, -1.7584)
H (0.4266, 4.4464, 0.0399)

---

Entry 2:
Entry from the OMol25 dataset: 6 unconnected molecules or ions with the total composition C27H72N9O12P3 at a distorted geometry (ωB97M-V/def2-TZVPD).

The HOMO-LUMO gap is 8.4 eV. The calculated total energy is -95014.57709 eV. Its structure (SMILES) is CN(C)P(=O)(N(C)C)N(C)C.CN(C)P(=O)(N(C)C)N(C)C.CN(C)P(=O)(N(C)C)N(C)C.COC(=O)OC.COC(=O)OC.COC(=O)OC. The energy relative to the best compared isomer or geometry (same formula, charge and spin) comes out at 20.4 kJ/mol. The net charge is 0.

Geometry (Å):
C (0.0471, 6.6517, 6.8729)
N (-1.0110, 5.9247, 7.7066)
C (-1.3243, 4.6018, 7.2271)
P (-1.3334, 6.4217, 9.3145)
*/

To do >
Next, work out how many lines above have the word "spin" in them; a number is enough.

Done >
1